Activity:
Please copy the listing underneath character by character.

File:
┌──
This entry pairs a crystal structure of NaAcH6Ru with its calculated XRD peak list. Radiation: Cu Kα (weighted mean of Kα1 and Kα2). Structure: a GGA-PBE-relaxed structure.

Most intense lines, 10° ≤ 2θ ≤ 90°, most intense first:
| d/Å | Rel. int. | (hkl) |
| --- | --- | --- |
| 3.145 | 1000 | 0 1 1 |
| 2.521 | 467 | 1 1 0 |
| 4.367 | 451 | 1 0 0 |
| 2.012 | 302 | 1 0 2 |
| 1.967 | 281 | 2 0 1 |
| 1.551 | 255 | 1 2 1 |
| 4.534 | 208 | 0 0 1 |
| 2.203 | 194 | 1 1 1 |
| 1.334 | 162 | 2 1 2 |
| 1.573 | 141 | 0 2 2 |

Atomic structure:
Unit cell a=5.0425 b=5.0425 c=4.5338 alpha=90.00 beta=90.00 gamma=120.00
Atoms (fractional coordinates):
Na: 0.0000 0.0000 0.0000
Ac: 0.3333 0.6667 0.5072
H: 0.3475 0.1738 0.5902
H: 0.5010 0.0021 0.0223
H: 0.5010 0.4990 0.0223
H: 0.8262 0.1738 0.5902
H: 0.8262 0.6525 0.5902
H: 0.9979 0.4990 0.0223
Ru: 0.6667 0.3333 0.8094


Starting from a GGA-PBE-relaxed structure, the PXRD pattern of Rb3BiO3 was calculated for a wavelength of 1.5418 Å.

Atomic structure:
Unit cell a=8.9714 b=8.9714 c=8.9714 alpha=90.00 beta=90.00 gamma=90.00
Atoms (fractional coordinates):
Rb: 0.0211 0.0211 0.0211
Rb: 0.2102 0.2898 0.7102
Rb: 0.2156 0.7156 0.7844
Rb: 0.2844 0.2844 0.2844
Rb: 0.2898 0.7102 0.2102
Rb: 0.4789 0.9789 0.5211
Rb: 0.5211 0.4789 0.9789
Rb: 0.7102 0.2102 0.2898
Rb: 0.7156 0.7844 0.2156
Rb: 0.7844 0.2156 0.7156
Rb: 0.7898 0.7898 0.7898
Rb: 0.9789 0.5211 0.4789
Bi: 0.0138 0.9862 0.4862
Bi: 0.4862 0.0138 0.9862
Bi: 0.5138 0.5138 0.5138
Bi: 0.9862 0.4862 0.0138
O: 0.0035 0.2151 0.4389
O: 0.0611 0.9965 0.7151
O: 0.2151 0.4389 0.0035
O: 0.2849 0.5611 0.5035
O: 0.4389 0.0035 0.2151
O: 0.4965 0.7849 0.9389
O: 0.5035 0.2849 0.5611
O: 0.5611 0.5035 0.2849
O: 0.7151 0.0611 0.9965
O: 0.7849 0.9389 0.4965
O: 0.9389 0.4965 0.7849
O: 0.9965 0.7151 0.0611

Principal peaks in the range 2θ from 10° to 80°, sorted by position:
2θ/deg  I (rel.)
17.12  21
19.79  15
28.13  100
31.54  18
33.12  11
40.21  19
45.20  11
49.79  29


Starting from a GGA-PBE-relaxed structure, the PXRD pattern of Rb2Bi2O5 was calculated for a wavelength of 1.5418 Å.

Atomic structure:
Unit cell a=4.3674 b=4.3674 c=9.0617 alpha=90.00 beta=90.00 gamma=90.00
Atoms (fractional coordinates):
Rb: 0.0000 0.0000 0.0000
Rb: 0.0000 0.0000 0.5000
Bi: 0.5000 0.5000 0.2344
Bi: 0.5000 0.5000 0.7656
O: 0.0000 0.5000 0.2706
O: 0.0000 0.5000 0.7294
O: 0.5000 0.0000 0.2706
O: 0.5000 0.0000 0.7294
O: 0.5000 0.5000 0.0000

Principal peaks in the range 2θ from 10° to 80°, sorted by position:
2θ/deg  I (rel.)
19.59  15
20.33  23
28.38  100
28.91  43
41.35  26
49.93  18
50.91  41
58.73  16


Starting from a GGA-PBE-relaxed structure, the PXRD pattern of Re2BiO6 was calculated for a wavelength of 1.5418 Å.

Atomic structure:
Unit cell a=8.5074 b=8.5074 c=5.5923 alpha=92.16 beta=92.16 gamma=34.15
Atoms (fractional coordinates):
Re: 0.0540 0.5833 0.6124
Re: 0.4167 0.9460 0.8876
Re: 0.5833 0.0540 0.1124
Re: 0.9460 0.4167 0.3876
Bi: 0.2753 0.7247 0.2500
Bi: 0.7247 0.2753 0.7500
O: 0.1105 0.1671 0.1106
O: 0.1671 0.1105 0.6106
O: 0.2625 0.3059 0.3299
O: 0.3059 0.2625 0.8299
O: 0.3309 0.5277 0.5827
O: 0.4723 0.6691 0.9173
O: 0.5277 0.3309 0.0827
O: 0.6691 0.4723 0.4173
O: 0.6941 0.7375 0.1701
O: 0.7375 0.6941 0.6701
O: 0.8329 0.8895 0.3894
O: 0.8895 0.8329 0.8894

Principal peaks in the range 2θ from 10° to 80°, sorted by position:
2θ/deg  I (rel.)
24.66  74
28.73  100
29.46  52
33.07  35
33.50  31
46.64  29
49.95  28
54.77  28


Diffraction record for Ac3CoO7. The X-ray diffraction stick pattern is simulated, not measured: it uses the PBE+U geometry in Alexandria and Cu Kα (weighted mean of Kα1 and Kα2).

Top 12 peaks for 2θ from 5° to 70°, most intense first:
d/Å	two_theta	I_rel	index
3.263	27.33	100	2 0 2
2.908	30.75	41	2 2 1
3.340	26.69	41	0 2 1
3.132	28.50	33	2 2 0
3.476	25.63	31	3 1 0
3.177	28.09	30	3 1 1
1.705	53.77	27	5 3 0
1.951	46.54	26	5 1 2
2.163	41.75	21	5 1 1
1.842	49.48	21	3 3 2
3.319	26.86	20	1 1 2
1.957	46.41	19	0 0 4

Structural model:
abc: 11.8182 7.3868 7.8269
└──

Written answer:
This entry pairs a crystal structure of NaAcH6Ru with its calculated XRD peak list. Radiation: Cu Kα (weighted mean of Kα1 and Kα2). Structure: a GGA-PBE-relaxed structure.

Most intense lines, 10° ≤ 2θ ≤ 90°, most intense first:
| d/Å | Rel. int. | (hkl) |
| --- | --- | --- |
| 3.145 | 1000 | 0 1 1 |
| 2.521 | 467 | 1 1 0 |
| 4.367 | 451 | 1 0 0 |
| 2.012 | 302 | 1 0 2 |
| 1.967 | 281 | 2 0 1 |
| 1.551 | 255 | 1 2 1 |
| 4.534 | 208 | 0 0 1 |
| 2.203 | 194 | 1 1 1 |
| 1.334 | 162 | 2 1 2 |
| 1.573 | 141 | 0 2 2 |

Atomic structure:
Unit cell a=5.0425 b=5.0425 c=4.5338 alpha=90.00 beta=90.00 gamma=120.00
Atoms (fractional coordinates):
Na: 0.0000 0.0000 0.0000
Ac: 0.3333 0.6667 0.5072
H: 0.3475 0.1738 0.5902
H: 0.5010 0.0021 0.0223
H: 0.5010 0.4990 0.0223
H: 0.8262 0.1738 0.5902
H: 0.8262 0.6525 0.5902
H: 0.9979 0.4990 0.0223
Ru: 0.6667 0.3333 0.8094


Starting from a GGA-PBE-relaxed structure, the PXRD pattern of Rb3BiO3 was calculated for a wavelength of 1.5418 Å.

Atomic structure:
Unit cell a=8.9714 b=8.9714 c=8.9714 alpha=90.00 beta=90.00 gamma=90.00
Atoms (fractional coordinates):
Rb: 0.0211 0.0211 0.0211
Rb: 0.2102 0.2898 0.7102
Rb: 0.2156 0.7156 0.7844
Rb: 0.2844 0.2844 0.2844
Rb: 0.2898 0.7102 0.2102
Rb: 0.4789 0.9789 0.5211
Rb: 0.5211 0.4789 0.9789
Rb: 0.7102 0.2102 0.2898
Rb: 0.7156 0.7844 0.2156
Rb: 0.7844 0.2156 0.7156
Rb: 0.7898 0.7898 0.7898
Rb: 0.9789 0.5211 0.4789
Bi: 0.0138 0.9862 0.4862
Bi: 0.4862 0.0138 0.9862
Bi: 0.5138 0.5138 0.5138
Bi: 0.9862 0.4862 0.0138
O: 0.0035 0.2151 0.4389
O: 0.0611 0.9965 0.7151
O: 0.2151 0.4389 0.0035
O: 0.2849 0.5611 0.5035
O: 0.4389 0.0035 0.2151
O: 0.4965 0.7849 0.9389
O: 0.5035 0.2849 0.5611
O: 0.5611 0.5035 0.2849
O: 0.7151 0.0611 0.9965
O: 0.7849 0.9389 0.4965
O: 0.9389 0.4965 0.7849
O: 0.9965 0.7151 0.0611

Principal peaks in the range 2θ from 10° to 80°, sorted by position:
2θ/deg  I (rel.)
17.12  21
19.79  15
28.13  100
31.54  18
33.12  11
40.21  19
45.20  11
49.79  29


Starting from a GGA-PBE-relaxed structure, the PXRD pattern of Rb2Bi2O5 was calculated for a wavelength of 1.5418 Å.

Atomic structure:
Unit cell a=4.3674 b=4.3674 c=9.0617 alpha=90.00 beta=90.00 gamma=90.00
Atoms (fractional coordinates):
Rb: 0.0000 0.0000 0.0000
Rb: 0.0000 0.0000 0.5000
Bi: 0.5000 0.5000 0.2344
Bi: 0.5000 0.5000 0.7656
O: 0.0000 0.5000 0.2706
O: 0.0000 0.5000 0.7294
O: 0.5000 0.0000 0.2706
O: 0.5000 0.0000 0.7294
O: 0.5000 0.5000 0.0000

Principal peaks in the range 2θ from 10° to 80°, sorted by position:
2θ/deg  I (rel.)
19.59  15
20.33  23
28.38  100
28.91  43
41.35  26
49.93  18
50.91  41
58.73  16


Starting from a GGA-PBE-relaxed structure, the PXRD pattern of Re2BiO6 was calculated for a wavelength of 1.5418 Å.

Atomic structure:
Unit cell a=8.5074 b=8.5074 c=5.5923 alpha=92.16 beta=92.16 gamma=34.15
Atoms (fractional coordinates):
Re: 0.0540 0.5833 0.6124
Re: 0.4167 0.9460 0.8876
Re: 0.5833 0.0540 0.1124
Re: 0.9460 0.4167 0.3876
Bi: 0.2753 0.7247 0.2500
Bi: 0.7247 0.2753 0.7500
O: 0.1105 0.1671 0.1106
O: 0.1671 0.1105 0.6106
O: 0.2625 0.3059 0.3299
O: 0.3059 0.2625 0.8299
O: 0.3309 0.5277 0.5827
O: 0.4723 0.6691 0.9173
O: 0.5277 0.3309 0.0827
O: 0.6691 0.4723 0.4173
O: 0.6941 0.7375 0.1701
O: 0.7375 0.6941 0.6701
O: 0.8329 0.8895 0.3894
O: 0.8895 0.8329 0.8894

Principal peaks in the range 2θ from 10° to 80°, sorted by position:
2θ/deg  I (rel.)
24.66  74
28.73  100
29.46  52
33.07  35
33.50  31
46.64  29
49.95  28
54.77  28


Diffraction record for Ac3CoO7. The X-ray diffraction stick pattern is simulated, not measured: it uses the PBE+U geometry in Alexandria and Cu Kα (weighted mean of Kα1 and Kα2).

Top 12 peaks for 2θ from 5° to 70°, most intense first:
d/Å	two_theta	I_rel	index
3.263	27.33	100	2 0 2
2.908	30.75	41	2 2 1
3.340	26.69	41	0 2 1
3.132	28.50	33	2 2 0
3.476	25.63	31	3 1 0
3.177	28.09	30	3 1 1
1.705	53.77	27	5 3 0
1.951	46.54	26	5 1 2
2.163	41.75	21	5 1 1
1.842	49.48	21	3 3 2
3.319	26.86	20	1 1 2
1.957	46.41	19	0 0 4

Structural model:
abc: 11.8182 7.3868 7.8269